We're Smarter Than You
Can you mitigate your remotely exploitable nodes? Of course you can't. Do you know how to configure your VPN server racks with AJAX overlays? Don't even pretend you do. What happens if an unauthorized user interface tries to query your Oracle® detection points? Do you know what to do then? Duh. Of course you don't. You're not smart.
Materials data from another source follow >
[1]
This record from the Materials Project database describes Li3Mn4B4O12 after structural relaxation. The functional is PBE+U.

Largest piezoelectric modulus (C/m2): 0.2
ΔE to the lowest computed polymorph (kcal/mol of atoms): 0.08
Symmetry: P1 (1)
Energy of formation from the pure elements (meV/atom): -2469

Unit cell a=5.291 b=6.207 c=7.843 alpha=79.15 beta=87.43 gamma=87.54
Sites, in units of the cell vectors:
Mn  0.580  0.576  0.185
Mn  0.422  0.418  0.828
Mn  0.913  0.934  0.314
Mn  0.085  0.089  0.668
O  0.954  0.708  0.170
O  0.435  0.333  0.376
O  0.668  0.299  0.031
O  0.167  0.802  0.514
O  0.079  0.144  0.120
O  0.474  0.157  0.675
O  0.826  0.141  0.472
O  0.332  0.701  0.983
O  0.571  0.666  0.635
O  0.029  0.342  0.829
O  0.546  0.845  0.335
O  0.932  0.837  0.862
Li  0.412  0.140  0.205
Li  0.931  0.632  0.688
Li  0.575  0.872  0.812
B  0.575  0.217  0.504
B  0.427  0.764  0.498
B  0.924  0.259  0.995
B  0.077  0.755  0.003

---

[2]
This record from the Materials Project database describes Ba2FeMoO6 after structural relaxation. The functional is PBE+U.

ΔE to the lowest computed polymorph (kcal/mol of atoms): 0.02
Symmetry: C2/m (12)
Energy of formation from the pure elements (meV/atom): -2500

Unit cell a=5.800 b=8.185 c=5.800 alpha=90.00 beta=89.99 gamma=90.01
Sites, in units of the cell vectors:
Mo  0.500  0.000  0.500
Mo  0.000  0.500  0.000
Ba  0.500  0.250  0.999
Ba  0.500  0.750  0.001
Ba  0.000  0.250  0.499
Ba  0.000  0.750  0.501
O  0.738  0.000  0.738
O  0.251  0.500  0.252
O  0.500  0.250  0.499
O  0.000  0.250  0.999
O  0.751  0.000  0.248
O  0.500  0.750  0.501
O  0.249  0.000  0.752
O  0.749  0.500  0.748
O  0.762  0.500  0.238
O  0.238  0.500  0.762
O  0.000  0.750  0.001
O  0.262  0.000  0.262
Fe  0.500  0.500  0.500
Fe  0.000  0.000  0.000

---

[3]
This record from the Materials Project database describes Li5V3F14 after structural relaxation. The functional is PBE+U.

Symmetry: Pna2_1 (33)
Energy of formation from the pure elements (meV/atom): -3161

Unit cell a=7.288 b=11.629 c=12.536 alpha=90.00 beta=90.00 gamma=90.00
Sites, in units of the cell vectors:
F  0.420  0.948  0.348
F  0.757  0.410  0.248
F  0.933  0.216  0.143
F  0.243  0.590  0.748
F  0.644  0.866  0.954
F  0.067  0.784  0.643
F  0.356  0.134  0.454
F  0.569  0.491  0.750
F  0.247  0.762  0.250
F  0.773  0.566  0.048
F  0.353  0.131  0.037
F  0.506  0.643  0.593
F  0.227  0.434  0.548
F  0.080  0.448  0.348
F  0.431  0.509  0.250
F  0.577  0.183  0.250
F  0.743  0.910  0.248
F  0.433  0.284  0.643
F  0.436  0.277  0.858
F  0.747  0.738  0.750
F  0.936  0.223  0.358
F  0.417  0.938  0.139
F  0.564  0.723  0.358
F  0.273  0.934  0.548
F  0.144  0.634  0.454
F  0.494  0.357  0.093
F  0.233  0.434  0.940
F  0.006  0.857  0.407
F  0.923  0.683  0.250
F  0.853  0.369  0.537
F  0.267  0.934  0.940
F  0.423  0.817  0.750
F  0.856  0.366  0.954
F  0.506  0.643  0.907
F  0.733  0.066  0.440
F  0.647  0.869  0.537
F  0.064  0.777  0.858
This is a quote from http://www.duhcorp.com/. As I looked over that website I was laughing and chuckling because it seemed like I had worked with this company before....
Concern eventually set in though and then I started thinking. What if this is how nonprofits really feel when our "experts" talk to them?
When talking about technology planning I have often mentioned how some nonprofits lack enough knowledge to know where to start. Are they hesitant to ask for help because they have gotten this speech from a vendor before, maybe not directly, but it was implied? Yes, I think so.
/*
The following is a PBE-GGA calculation of Rb2Sn2H3N after structural relaxation, from the Materials Project database.

- M_tot (μB per cell) = 0.0
- ΔH_f (0 K) (eV/atom) = -0.36
- ρ (Mg/m³) = 3.3
- symmetry = P2_1/c (14)

Cell: 13.552 9.706 13.435 Å, 90.00 106.97 90.00°
Positions (direct):
Rb: 0.036 0.202 0.488
Rb: 0.036 0.298 0.988
Rb: 0.073 0.549 0.319
Rb: 0.073 0.951 0.819
Rb: 0.367 0.221 0.578
Rb: 0.367 0.279 0.078
Rb: 0.408 0.720 0.564
Rb: 0.408 0.780 0.064
Rb: 0.592 0.220 0.936
Rb: 0.592 0.280 0.436
Rb: 0.633 0.721 0.922
Rb: 0.633 0.779 0.422
Rb: 0.927 0.049 0.181
Rb: 0.927 0.451 0.681
Rb: 0.964 0.702 0.012
Rb: 0.964 0.798 0.512
Sn: 0.187 0.579 0.849
Sn: 0.187 0.921 0.349
Sn: 0.190 0.516 0.632
Sn: 0.190 0.984 0.132
Sn: 0.216 0.213 0.288
Sn: 0.216 0.287 0.788
Sn: 0.384 0.003 0.310
Sn: 0.384 0.497 0.810
Sn: 0.616 0.503 0.190
Sn: 0.616 0.997 0.690
Sn: 0.784 0.713 0.212
Sn: 0.784 0.787 0.712
Sn: 0.810 0.016 0.868
Sn: 0.810 0.484 0.368
Sn: 0.813 0.079 0.651
Sn: 0.813 0.421 0.151
H: 0.186 0.572 0.059
H: 0.186 0.928 0.559
H: 0.198 0.654 0.169
H: 0.198 0.846 0.669
H: 0.206 0.017 0.669
H: 0.206 0.483 0.169
H: 0.371 0.001 0.860
H: 0.371 0.499 0.360
H: 0.375 0.663 0.329
H: 0.375 0.837 0.829
H: 0.461 0.554 0.312
H: 0.461 0.946 0.812
H: 0.539 0.054 0.188
H: 0.539 0.446 0.688
H: 0.625 0.163 0.171
H: 0.625 0.337 0.671
H: 0.629 0.501 0.640
H: 0.629 0.999 0.140
H: 0.794 0.517 0.831
H: 0.794 0.983 0.331
H: 0.802 0.154 0.331
H: 0.802 0.346 0.831
H: 0.814 0.072 0.441
H: 0.814 0.428 0.941
N: 0.167 0.567 0.129
N: 0.167 0.933 0.629
N: 0.420 0.580 0.363
N: 0.420 0.920 0.863
N: 0.580 0.080 0.137
N: 0.580 0.420 0.637
N: 0.833 0.067 0.371
N: 0.833 0.433 0.871

=====

Entry 1:
Density functional theory data (GGA+U) for CaV2Zn2Si2O10 after structural relaxation.

```
17
Lattice="5.3675 0.0000 0.0000 -0.8703 5.5188 0.0000 -2.4045 -2.4289 6.7355" Properties=species:S:1:pos:R:3 pbc="T T T"
Ca 0.0000 0.0000 0.0000
V -1.0318 0.3151 5.8378
V 0.3658 1.5071 2.6473
Zn 1.4506 -0.9188 3.8732
Zn 3.5639 2.6330 1.1183
Si 2.8204 -0.0232 1.1002
Si 3.1252 2.9041 4.0000
O -2.2277 1.8019 5.2001
O 0.1062 2.2942 0.6643
O -0.7385 3.1430 3.3760
O 1.4234 -0.2081 1.9077
O 0.2893 0.5785 4.3629
O 0.1928 -1.2914 6.6608
O 2.4858 4.1252 0.2997
O 2.1354 2.5203 2.7486
O 4.0863 0.4544 1.9932
O 3.2741 -1.2529 4.7022
```

Properties
**Space group**: P1, No. 1
**Formation energy from the elements**: -2.6344 eV per atom
**Offset from the most stable computed form**: 14 meV per atom

***

Entry 2:
Density functional theory data (GGA+U) for CaV2Zn2Si2O10 after structural relaxation.

```
17
Lattice="5.5769 0.0000 0.0000 -0.0161 5.8685 0.0000 -2.5231 -2.1737 6.4926" Properties=species:S:1:pos:R:3 pbc="T T T"
Ca 0.0000 0.0000 0.0000
V 3.3293 0.9757 4.5344
V 4.9112 2.5811 1.6465
Zn -0.2474 -0.2565 6.3985
Zn 2.1742 3.4142 3.1244
Si 0.5530 -0.2974 3.1906
Si 0.4707 2.5053 5.9929
O -2.2760 0.0972 6.3912
O -1.0417 2.3953 5.4217
O -0.5537 -0.2173 4.3781
O 0.4220 0.9013 2.1087
O 0.3898 4.1113 2.3341
*/
So much for the materials data:
Technology responsible person in your org. My suggested approach to avoiding the "we're smarter than you", is first to avoid vendors like that if possible. Second, appoint someone to be the technology responsible person in your org if you dont have full-time IT staff. Then get them some training so they can understand enough technology to make strategic decisions!
NOTE! I did not say get them "Technology Training", I said get them training to "understand enough technology to make strategic decisions!"
I did not intend to turn this post into a rant or a pitch for orgs I love, but that is where my typing has led me....
A great example of the type of training needed is the Technology Leadership Academy from NTEN. This Free, Intense 9 week training gets your org prepared to make better decisions in technology. http://www.nten.org/techacademy
(in disclosure, I do present one of the sessions for this training, but I do not receive anything for promoting it, I just love what NTEN is doing!)
Then look at the webinars that NTEN.org, TechSoup.org and Idealware.org offer. When a new project or planning phase starts allow a little time to research what should be considered, collect sample documents from other nonprofits and be more deliberate in your technology planning.
And one final thought about www.duhcorp.com, I was a little disappointed that there wasnt more content and pages to read, but the site was fun! The part I found best is that they are making some money off of it to with the ads.... why didn't I think of that? And a huge tip to John Merritt (@johnmerritt) from the San Diego Y for tweeting about the site.